The following is a PBE-GGA calculation of a relaxed structure of Sc2TiHgO, from Alexandria via LeMat-Bulk.

## Properties
SG   P4/mmm, No. 123
Formation energy (no corrections)   -1.3469 eV per atom
Raw total energy   -6.510 eV per atom

Cell: 4.450 4.450 4.167 Å, 90.00 90.00 90.00°
Fractional positions:
Ti 0.000 0.000 0.500
O 0.000 0.000 0.000
Sc 0.000 0.500 0.000
Sc 0.500 0.000 0.000
Hg 0.500 0.500 0.500

The following is a PBE-GGA calculation of a relaxed structure of ScTi2HgO, from Alexandria via LeMat-Bulk.

## Properties
SG   P4/mmm, No. 123
Formation energy (no corrections)   -1.2156 eV per atom
Raw total energy   -6.692 eV per atom

Cell: 4.184 4.184 4.447 Å, 90.00 90.00 90.00°
Fractional positions:
Ti 0.000 0.500 0.000
Ti 0.500 0.000 0.000
Sc 0.000 0.000 0.500
Hg 0.500 0.500 0.500
O 0.000 0.000 0.000

The following is a PBE-GGA calculation of a relaxed structure of Sc4TlHgO, from Alexandria via LeMat-Bulk.

## Properties
SG   Cmcm, No. 63
Formation energy (no corrections)   -1.0654 eV per atom
Raw total energy   -5.773 eV per atom

Cell: 6.148 6.149 8.129 Å, 90.00 112.22 90.00°
Fractional positions:
Hg 0.386 0.250 0.772
Hg 0.614 0.750 0.228
Sc 0.578 0.250 0.156
Sc 0.914 0.250 0.828
Sc 0.000 0.000 0.500
Sc 0.000 0.500 0.500
Sc 0.500 0.000 0.500
Sc 0.422 0.750 0.844
Sc 0.086 0.750 0.172
Sc 0.500 0.500 0.500
Tl 0.109 0.250 0.218
Tl 0.891 0.750 0.782
O 0.751 0.250 0.503
O 0.249 0.750 0.497

The following is a PBE-GGA calculation of a relaxed structure of TmSc2HgO, from Alexandria via LeMat-Bulk.

## Properties
SG   P4/mmm, No. 123
Formation energy (no corrections)   -1.4520 eV per atom
Raw total energy   -5.931 eV per atom

Cell: 4.623 4.469 4.469 Å, 90.00 90.00 90.00°
Fractional positions:
Tm 0.500 0.000 0.000
Hg 0.500 0.500 0.500
Sc 0.000 0.000 0.500
Sc 0.000 0.500 0.000
O 0.000 0.000 0.000

The following is a PBE-GGA calculation of a relaxed structure of ScUHgO6, from Alexandria via LeMat-Bulk.

## Properties
SG   Imma, No. 74
Formation energy (no corrections)   -2.1700 eV per atom
Raw total energy   -7.467 eV per atom

Cell: 8.083 9.576 7.670 Å, 128.63 121.80 90.00°
Fractional positions:
Hg 0.901 0.651 0.801
Hg 0.099 0.349 0.199
O 0.783 0.014 0.218
O 0.566 0.986 0.782
O 0.566 0.296 0.782
O 0.217 0.296 0.782
O 0.434 0.014 0.218
O 0.671 0.421 0.342
O 0.329 0.579 0.658
O 0.869 0.119 0.737
O 0.783 0.704 0.218
O 0.131 0.881 0.263
O 0.434 0.704 0.218
O 0.217 0.986 0.782
U 0.500 0.500 0.000
U 0.500 0.000 0.000
Sc 0.500 0.000 0.500
Sc 0.000 0.000 0.500

The following is a PBE-GGA calculation of a relaxed structure of YScHgO2, from Alexandria via LeMat-Bulk.

## Properties
SG   P4/mmm, No. 123
Formation energy (no corrections)   0.2845 eV per atom
Raw total energy   -4.318 eV per atom

Cell: 4.523 5.157 4.523 Å, 90.00 90.00 90.00°
Fractional positions:
Y 0.500 0.500 0.500
Sc 0.000 0.500 0.000
O 0.000 0.000 0.500
O 0.500 0.000 0.000
Hg 0.000 0.000 0.000

The following is a PBE-GGA calculation of a relaxed structure of Y2ScHgO, from Alexandria via LeMat-Bulk.

## Properties
SG   P4/mmm, No. 123
Formation energy (no corrections)   -1.4155 eV per atom
Raw total energy   -6.319 eV per atom

Cell: 4.766 4.766 4.489 Å, 90.00 90.00 90.00°
Fractional positions:
Sc 0.000 0.000 0.500
Y 0.000 0.500 0.000
Y 0.500 0.000 0.000
Hg 0.500 0.500 0.500
O 0.000 0.000 0.000

The following is a PBE-GGA calculation of a relaxed structure of Sc4ZnHgO, from Alexandria via LeMat-Bulk.

## Properties
SG   Cmcm, No. 63
Formation energy (no corrections)   -1.0346 eV per atom
Raw total energy   -5.586 eV per atom

Cell: 6.192 6.199 7.654 Å, 90.00 113.86 90.00°
Fractional positions:
Sc 0.000 0.000 0.500
Sc 0.000 0.500 0.500
Sc 0.926 0.250 0.853
Sc 0.500 0.000 0.500
Sc 0.074 0.750 0.147
Sc 0.420 0.750 0.839
Sc 0.580 0.250 0.161
Sc 0.500 0.500 0.500
Hg 0.616 0.750 0.231
Hg 0.384 0.250 0.769
O 0.249 0.750 0.499
O 0.751 0.250 0.501
Zn 0.122 0.250 0.245
Zn 0.878 0.750 0.755

Restate everything earlier on word for word.

The following is a PBE-GGA calculation of a relaxed structure of Sc2TiHgO, from Alexandria via LeMat-Bulk.

## Properties
SG   P4/mmm, No. 123
Formation energy (no corrections)   -1.3469 eV per atom
Raw total energy   -6.510 eV per atom

Cell: 4.450 4.450 4.167 Å, 90.00 90.00 90.00°
Fractional positions:
Ti 0.000 0.000 0.500
O 0.000 0.000 0.000
Sc 0.000 0.500 0.000
Sc 0.500 0.000 0.000
Hg 0.500 0.500 0.500

The following is a PBE-GGA calculation of a relaxed structure of ScTi2HgO, from Alexandria via LeMat-Bulk.

## Properties
SG   P4/mmm, No. 123
Formation energy (no corrections)   -1.2156 eV per atom
Raw total energy   -6.692 eV per atom

Cell: 4.184 4.184 4.447 Å, 90.00 90.00 90.00°
Fractional positions:
Ti 0.000 0.500 0.000
Ti 0.500 0.000 0.000
Sc 0.000 0.000 0.500
Hg 0.500 0.500 0.500
O 0.000 0.000 0.000

The following is a PBE-GGA calculation of a relaxed structure of Sc4TlHgO, from Alexandria via LeMat-Bulk.

## Properties
SG   Cmcm, No. 63
Formation energy (no corrections)   -1.0654 eV per atom
Raw total energy   -5.773 eV per atom

Cell: 6.148 6.149 8.129 Å, 90.00 112.22 90.00°
Fractional positions:
Hg 0.386 0.250 0.772
Hg 0.614 0.750 0.228
Sc 0.578 0.250 0.156
Sc 0.914 0.250 0.828
Sc 0.000 0.000 0.500
Sc 0.000 0.500 0.500
Sc 0.500 0.000 0.500
Sc 0.422 0.750 0.844
Sc 0.086 0.750 0.172
Sc 0.500 0.500 0.500
Tl 0.109 0.250 0.218
Tl 0.891 0.750 0.782
O 0.751 0.250 0.503
O 0.249 0.750 0.497

The following is a PBE-GGA calculation of a relaxed structure of TmSc2HgO, from Alexandria via LeMat-Bulk.

## Properties
SG   P4/mmm, No. 123
Formation energy (no corrections)   -1.4520 eV per atom
Raw total energy   -5.931 eV per atom

Cell: 4.623 4.469 4.469 Å, 90.00 90.00 90.00°
Fractional positions:
Tm 0.500 0.000 0.000
Hg 0.500 0.500 0.500
Sc 0.000 0.000 0.500
Sc 0.000 0.500 0.000
O 0.000 0.000 0.000

The following is a PBE-GGA calculation of a relaxed structure of ScUHgO6, from Alexandria via LeMat-Bulk.

## Properties
SG   Imma, No. 74
Formation energy (no corrections)   -2.1700 eV per atom
Raw total energy   -7.467 eV per atom

Cell: 8.083 9.576 7.670 Å, 128.63 121.80 90.00°
Fractional positions:
Hg 0.901 0.651 0.801
Hg 0.099 0.349 0.199
O 0.783 0.014 0.218
O 0.566 0.986 0.782
O 0.566 0.296 0.782
O 0.217 0.296 0.782
O 0.434 0.014 0.218
O 0.671 0.421 0.342
O 0.329 0.579 0.658
O 0.869 0.119 0.737
O 0.783 0.704 0.218
O 0.131 0.881 0.263
O 0.434 0.704 0.218
O 0.217 0.986 0.782
U 0.500 0.500 0.000
U 0.500 0.000 0.000
Sc 0.500 0.000 0.500
Sc 0.000 0.000 0.500

The following is a PBE-GGA calculation of a relaxed structure of YScHgO2, from Alexandria via LeMat-Bulk.

## Properties
SG   P4/mmm, No. 123
Formation energy (no corrections)   0.2845 eV per atom
Raw total energy   -4.318 eV per atom

Cell: 4.523 5.157 4.523 Å, 90.00 90.00 90.00°
Fractional positions:
Y 0.500 0.500 0.500
Sc 0.000 0.500 0.000
O 0.000 0.000 0.500
O 0.500 0.000 0.000
Hg 0.000 0.000 0.000

The following is a PBE-GGA calculation of a relaxed structure of Y2ScHgO, from Alexandria via LeMat-Bulk.

## Properties
SG   P4/mmm, No. 123
Formation energy (no corrections)   -1.4155 eV per atom
Raw total energy   -6.319 eV per atom

Cell: 4.766 4.766 4.489 Å, 90.00 90.00 90.00°
Fractional positions:
Sc 0.000 0.000 0.500
Y 0.000 0.500 0.000
Y 0.500 0.000 0.000
Hg 0.500 0.500 0.500
O 0.000 0.000 0.000

The following is a PBE-GGA calculation of a relaxed structure of Sc4ZnHgO, from Alexandria via LeMat-Bulk.

## Properties
SG   Cmcm, No. 63
Formation energy (no corrections)   -1.0346 eV per atom
Raw total energy   -5.586 eV per atom

Cell: 6.192 6.199 7.654 Å, 90.00 113.86 90.00°
Fractional positions:
Sc 0.000 0.000 0.500
Sc 0.000 0.500 0.500
Sc 0.926 0.250 0.853
Sc 0.500 0.000 0.500
Sc 0.074 0.750 0.147
Sc 0.420 0.750 0.839
Sc 0.580 0.250 0.161
Sc 0.500 0.500 0.500
Hg 0.616 0.750 0.231
Hg 0.384 0.250 0.769
O 0.249 0.750 0.499
O 0.751 0.250 0.501
Zn 0.122 0.250 0.245
Zn 0.878 0.750 0.755